It remains to say how many lines of the listing underneath hold the word "Sn", as a bare number.
........
(1)
DFT (GGA-PBEsol) results for a relaxed CuRhSe4 crystal.

Structure (CIF):
```
data_CuRhSe4
_chemical_formula_sum 'Cu4 Rh4 Se16'
_cell_length_a 7.647
_cell_length_b 7.647
_cell_length_c 7.647
_cell_angle_alpha 90.00
_cell_angle_beta 90.00
_cell_angle_gamma 90.00
_symmetry_space_group_name_H-M 'F -4 3 m'
_symmetry_Int_Tables_number 216
_symmetry_space_group_name_Hall 'F -4 2 3'
loop_
_atom_site_label
_atom_site_type_symbol
_atom_site_fract_x
_atom_site_fract_y
_atom_site_fract_z
Cu1 Cu 0.000 0.000 0.000
Rh1 Rh 0.250 0.250 0.250
Se1 Se 0.125 0.125 0.625
```

## Properties
* magnetic moment: 0.34 Bohr magnetons per cell
* E_tot: -3.689 eV per atom


(2)
DFT (GGA-PBEsol) results for a relaxed CuRh2Se crystal.

Structure (CIF):
```
data_CuRh2Se
_chemical_formula_sum 'Cu2 Rh4 Se2'
_cell_length_a 9.156
_cell_length_b 2.921
_cell_length_c 4.335
_cell_angle_alpha 90.00
_cell_angle_beta 108.40
_cell_angle_gamma 90.00
_symmetry_space_group_name_H-M 'C 1 m 1'
_symmetry_Int_Tables_number 8
_symmetry_space_group_name_Hall 'C -2y'
loop_
_atom_site_label
_atom_site_type_symbol
_atom_site_fract_x
_atom_site_fract_y
_atom_site_fract_z
Cu1 Cu 0.000 0.000 0.000
Rh1 Rh 0.029 0.500 0.518
Rh2 Rh 0.250 0.500 0.158
Se1 Se 0.262 0.000 0.638
```

## Properties
* magnetic moment: 0.00 Bohr magnetons per cell
* E_tot: -6.056 eV per atom


(3)
DFT (GGA-PBEsol) results for a relaxed CuSiRh crystal.

Structure (CIF):
```
data_CuSiRh
_chemical_formula_sum 'Cu2 Si2 Rh2'
_cell_length_a 2.815
_cell_length_b 3.116
_cell_length_c 8.432
_cell_angle_alpha 90.00
_cell_angle_beta 90.00
_cell_angle_gamma 90.00
_symmetry_space_group_name_H-M 'I m m 2'
_symmetry_Int_Tables_number 44
_symmetry_space_group_name_Hall 'I 2 -2'
loop_
_atom_site_label
_atom_site_type_symbol
_atom_site_fract_x
_atom_site_fract_y
_atom_site_fract_z
Cu1 Cu 0.000 0.000 0.000
Si1 Si 0.000 0.000 0.343
Rh1 Rh 0.000 0.000 0.694
```

## Properties
* magnetic moment: 0.00 Bohr magnetons per cell
* E_tot: -6.476 eV per atom


(4)
DFT (GGA-PBEsol) results for a relaxed CuSiRh crystal.

Structure (CIF):
```
data_CuSiRh
_chemical_formula_sum 'Cu4 Si4 Rh4'
_cell_length_a 5.486
_cell_length_b 5.486
_cell_length_c 5.486
_cell_angle_alpha 90.00
_cell_angle_beta 90.00
_cell_angle_gamma 90.00
_symmetry_space_group_name_H-M 'F -4 3 m'
_symmetry_Int_Tables_number 216
_symmetry_space_group_name_Hall 'F -4 2 3'
loop_
_atom_site_label
_atom_site_type_symbol
_atom_site_fract_x
_atom_site_fract_y
_atom_site_fract_z
Cu1 Cu 0.000 0.000 0.000
Si1 Si 0.250 0.250 0.750
Rh1 Rh 0.000 0.000 0.500
```

## Properties
* magnetic moment: 0.00 Bohr magnetons per cell
* E_tot: -6.481 eV per atom


(5)
DFT (GGA-PBEsol) results for a relaxed CuSiRh3 crystal.

Structure (CIF):
```
data_CuSiRh3
_chemical_formula_sum 'Cu1 Si1 Rh3'
_cell_length_a 4.360
_cell_length_b 4.360
_cell_length_c 4.360
_cell_angle_alpha 90.00
_cell_angle_beta 90.00
_cell_angle_gamma 90.00
_symmetry_space_group_name_H-M 'P m -3 m'
_symmetry_Int_Tables_number 221
_symmetry_space_group_name_Hall '-P 4 2 3'
loop_
_atom_site_label
_atom_site_type_symbol
_atom_site_fract_x
_atom_site_fract_y
_atom_site_fract_z
Cu1 Cu 0.000 0.000 0.000
Si1 Si 0.500 0.500 0.500
Rh1 Rh 0.000 0.000 0.500
```

## Properties
* magnetic moment: 0.00 Bohr magnetons per cell
* E_tot: -5.658 eV per atom


(6)
DFT (GGA-PBEsol) results for a relaxed TiCuSn2Rh crystal.

Structure (CIF):
```
data_TiCuSn2Rh
_chemical_formula_sum 'Ti1 Cu1 Sn2 Rh1'
_cell_length_a 4.708
_cell_length_b 4.708
_cell_length_c 4.526
_cell_angle_alpha 90.00
_cell_angle_beta 90.00
_cell_angle_gamma 90.00
_symmetry_space_group_name_H-M 'P 4/m m m'
_symmetry_Int_Tables_number 123
_symmetry_space_group_name_Hall '-P 4 2'
loop_
_atom_site_label
_atom_site_type_symbol
_atom_site_fract_x
_atom_site_fract_y
_atom_site_fract_z
Ti1 Ti 0.000 0.000 0.000
Cu1 Cu 0.000 0.000 0.500
Sn1 Sn 0.000 0.500 0.500
Rh1 Rh 0.500 0.500 0.000
```

## Properties
* magnetic moment: 0.00 Bohr magnetons per cell
* E_tot: -5.196 eV per atom


(7)
........
1